**Excerpt**
<<<
[1]
Molecular formula: C84H102F9N13O9
Method: DFT, ωB97M-V/def2-TZVPD

Each line ends with the Mulliken charge.
Element x y z (Å)
C1 5.01 0.83 -5.70  -0.93
N1 4.94 0.59 -4.24  0.26
C2 3.77 0.55 -3.53  -0.63
C3 3.80 0.40 -2.14  0.33
C4 5.01 0.32 -1.45  1.03
C5 6.17 0.39 -2.22  -0.43
C6 6.14 0.53 -3.60  -0.78
C7 4.98 0.16 0.03  -0.22
C8 5.89 -0.65 0.73  -0.85
C9 5.78 -0.92 2.09  -0.29
N2 4.87 -0.25 2.81  0.42
C10 4.03 0.68 2.25  -0.18
C11 4.07 0.87 0.86  -0.54
C12 4.80 -0.58 4.19  -1.76
H1 5.70 0.13 -6.17  0.37
H2 5.41 1.83 -5.88  0.41
H3 4.01 0.80 -6.14  0.31
H4 2.88 0.68 -4.13  0.52
H5 2.84 0.40 -1.63  -0.62
H6 7.16 0.45 -1.78  0.60
H7 7.06 0.60 -4.15  0.61
H8 6.66 -1.27 0.29  0.45
H9 6.45 -1.64 2.54  0.40
H10 3.31 1.18 2.88  0.57
H11 3.40 1.66 0.57  0.95
H12 5.79 -0.94 4.46  0.27
H13 4.02 -1.31 4.43  0.64
H14 4.52 0.30 4.77  0.66
C13 0.99 -4.55 5.03  -0.94
N3 1.70 -3.40 5.67  0.28
C14 1.22 -2.14 5.52  -0.42
C15 1.83 -1.01 6.15  -0.73
C16 2.99 -1.21 6.82  0.99
C17 3.58 -2.49 6.79  -0.45
C18 2.87 -3.57 6.32  -0.51
C19 3.62 -0.15 7.58  0.23
C20 2.94 0.76 8.36  -0.78
C21 3.55 1.80 8.98  -0.23
N4 4.89 2.06 8.81  0.03
C22 5.66 1.17 8.05  -0.81
C23 5.04 0.05 7.49  -0.39
C24 5.52 3.12 9.53  -0.83
H15 0.24 -4.22 4.30  0.22
H16 0.50 -5.12 5.82  0.44
H17 1.74 -5.11 4.47  0.29
H18 0.25 -2.04 5.03  0.65
H19 1.34 -0.06 6.04  0.60
H20 4.42 -2.79 7.40  0.61
H21 3.26 -4.57 6.26  0.50
H22 1.87 0.65 8.44  0.57
H23 3.03 2.51 9.61  0.44
H24 6.72 1.38 7.99  0.52
H25 5.65 -0.61 6.89  0.59
H26 4.79 3.73 10.08  0.31
H27 5.97 3.70 8.73  0.38
H28 6.27 2.75 10.23  0.36
C25 -2.93 8.46 -5.40  -0.81
N5 -2.44 7.85 -4.20  0.15
C26 -3.30 7.11 -3.42  -1.16
C27 -2.82 6.46 -2.24  0.20
C28 -1.50 6.60 -1.90  0.75
C29 -0.65 7.39 -2.68  -0.56
C30 -1.16 7.94 -3.87  -0.44
C31 -0.95 5.94 -0.64  -0.27
C32 0.14 5.04 -0.78  -0.29
C33 0.72 4.50 0.37  -1.31
N6 0.22 4.81 1.63  0.27
C34 -0.91 5.55 1.74  -0.57
C35 -1.52 6.11 0.59  -0.21
C36 0.78 4.22 2.82  -0.96
H29 -3.30 7.65 -6.03  0.37
H30 -2.25 9.09 -5.96  0.36
H31 -3.86 8.98 -5.15  0.35
H32 -4.30 6.94 -3.80  0.50
H33 -3.44 5.81 -1.65  0.24
H34 0.34 7.62 -2.33  0.62
H35 -0.49 8.59 -4.42  0.46
H36 0.55 4.74 -1.73  0.70
H37 1.55 3.80 0.32  1.16
H38 -1.29 5.70 2.74  0.44
H39 -2.42 6.71 0.67  0.74
H40 1.72 4.76 2.89  0.45
H41 0.94 3.14 2.79  0.18
H42 0.21 4.48 3.71  0.38
C37 0.41 1.67 -10.50  -0.82
N7 -0.11 0.94 -9.39  0.07
C38 0.35 -0.33 -9.09  -0.49
C39 -0.10 -0.99 -7.99  -1.08
C40 -0.89 -0.35 -7.02  0.92
C41 -1.42 0.88 -7.39  -0.54
C42 -1.02 1.54 -8.58  -0.53
C43 -1.30 -1.03 -5.80  0.49
C44 -1.63 -2.43 -5.94  -0.89
C45 -2.17 -3.06 -4.76  -0.51
N8 -2.37 -2.36 -3.59  0.09
C46 -1.91 -1.11 -3.42  -0.18
C47 -1.41 -0.41 -4.54  -0.34
C48 -3.09 -3.05 -2.42  -0.86
H43 0.78 0.94 -11.22  0.30
H44 1.26 2.20 -10.07  0.39
H45 -0.35 2.31 -10.95  0.34
H46 1.12 -0.67 -9.76  0.48
H47 0.32 -1.91 -7.62  0.55
H48 -2.20 1.26 -6.74  0.73
H49 -1.38 2.51 -8.88  0.55
H50 -1.45 -3.07 -6.79  0.65
H51 -2.48 -4.09 -4.64  0.57
H52 -2.18 -0.62 -2.50  0.21
H53 -1.16 0.64 -4.52  0.88
H54 -3.96 -3.56 -2.84  0.44
H55 -3.28 -2.27 -1.68  0.24
H56 -2.31 -3.67 -1.99  0.32
C49 -0.83 -9.11 6.35  -0.96
N9 -0.46 -8.41 5.16  0.08
C50 -1.46 -8.03 4.25  -0.68
C51 -1.18 -7.38 3.05  -0.58
C52 0.15 -7.18 2.65  0.16
C53 1.17 -7.64 3.54  -0.72
C54 0.84 -8.23 4.76  -0.62
C55 0.48 -6.45 1.45  1.83
C56 -0.20 -5.30 1.15  -1.15
C57 0.04 -4.69 -0.08  -1.19
N10 0.96 -5.14 -0.92  0.30
C58 1.78 -6.19 -0.57  -0.66
C59 1.50 -6.89 0.61  -0.64
C60 1.12 -4.53 -2.29  -0.96
H57 0.02 -9.67 6.74  0.35
H58 -1.44 -9.94 5.99  0.45
H59 -1.41 -8.64 7.14  0.34
H60 -2.41 -8.29 4.71  0.58
H61 -1.94 -7.15 2.31  0.66
H62 2.20 -7.45 3.28  0.61
H63 1.61 -8.60 5.42  0.48
H64 -0.94 -4.90 1.82  0.72
H65 -0.49 -3.78 -0.32  0.93
H66 2.53 -6.61 -1.22  0.54
H67 1.95 -7.83 0.90  0.78
H68 1.49 -3.51 -2.19  0.17
H69 0.09 -4.58 -2.62  0.53
H70 1.80 -5.21 -2.80  0.34
C61 -11.36 0.91 4.45  -0.98
N11 -10.11 1.16 3.73  -0.01
C62 -10.01 0.56 2.52  -0.26
C63 -8.88 0.82 1.74  -0.55
C64 -7.83 1.59 2.29  0.34
>>>

**Work order**
It remains to write out every line earlier on that contains the word "C12".

**Outcome**
C12 4.80 -0.58 4.19  -1.76